File:
A 3-piece molecular cluster, C28H50I2NO11PS overall in a non-equilibrium geometry, computed with ωB97M-V with the def2-TZVPD basis set.

Positions of all 94 atoms, in Å:
C: 8.94 -1.90 2.40
C: 7.96 -0.82 2.76
C: 8.02 -0.20 4.00
C: 7.12 0.80 4.33
C: 6.11 1.22 3.46
C: 5.21 2.35 3.92
C: 4.67 3.27 2.81
C: 4.09 1.86 4.88
C: 6.04 0.54 2.24
O: 5.06 0.83 1.29
C: 3.76 0.47 1.62
C: 3.40 -1.04 1.43
O: 4.29 -1.56 0.50
N: 4.05 -2.99 0.30
O: 4.86 -3.43 -0.38
O: 2.10 -1.10 0.80
C: 0.93 -1.13 1.50
O: 0.17 -2.05 1.38
C: 0.61 0.08 2.34
I: -0.05 1.55 0.93
C: -0.44 -0.22 3.40
C: 0.18 -0.90 4.62
I: -1.34 1.61 4.12
P: 3.44 -2.06 3.02
S: 5.09 -2.98 3.45
C: 6.96 -0.44 1.88
H: 9.96 -1.53 2.51
H: 8.82 -2.23 1.36
H: 8.83 -2.76 3.06
H: 8.78 -0.48 4.73
H: 7.19 1.29 5.29
H: 5.85 2.98 4.53
H: 4.69 4.30 3.16
H: 3.67 3.00 2.48
H: 5.33 3.23 1.94
H: 3.18 2.43 4.70
H: 3.85 0.81 4.73
H: 4.36 2.02 5.92
H: 3.53 0.75 2.65
H: 3.10 1.01 0.94
H: 1.48 0.52 2.84
H: -1.24 -0.83 2.99
H: 0.93 -0.26 5.10
H: -0.58 -1.11 5.36
H: 0.62 -1.86 4.34
H: 2.34 -2.92 2.93
H: 3.10 -1.08 3.97
H: 6.87 -0.90 0.91
C: -3.09 2.29 -1.66
O: -4.05 1.29 -1.38
C: -3.78 0.53 -0.22
C: -5.01 0.32 0.63
O: -5.51 1.48 1.28
C: -6.12 2.50 0.51
C: -7.46 2.15 -0.10
O: -7.34 1.20 -1.15
C: -8.29 0.16 -1.12
H: -2.21 1.88 -2.17
H: -3.56 3.02 -2.31
H: -2.77 2.80 -0.74
H: -2.99 1.00 0.38
H: -3.42 -0.46 -0.53
H: -4.72 -0.34 1.45
H: -5.80 -0.18 0.06
H: -5.44 2.89 -0.25
H: -6.30 3.31 1.22
H: -7.89 3.07 -0.51
H: -8.12 1.77 0.69
H: -8.45 -0.21 -0.10
H: -7.90 -0.65 -1.73
H: -9.25 0.49 -1.54
C: -4.25 -1.88 -8.27
O: -3.29 -2.12 -7.27
C: -2.04 -1.48 -7.49
C: -1.50 -0.84 -6.23
O: -2.21 0.29 -5.77
C: -3.50 0.13 -5.20
C: -3.53 -0.54 -3.85
O: -3.21 -1.93 -3.93
C: -2.33 -2.38 -2.94
H: -4.10 -2.54 -9.14
H: -5.23 -2.09 -7.84
H: -4.24 -0.84 -8.61
H: -2.12 -0.72 -8.27
H: -1.32 -2.24 -7.81
H: -0.50 -0.46 -6.48
H: -1.37 -1.59 -5.44
H: -4.18 -0.35 -5.90
H: -3.86 1.15 -5.05
H: -4.55 -0.45 -3.45
H: -2.85 -0.03 -3.17
H: -1.52 -1.67 -2.76
H: -1.89 -3.32 -3.29
H: -2.85 -2.57 -1.99

Calculated values
LUMO energy = -0.8 eV
orbital gap = 0.296 hartree
E_HOMO = -8.8 eV
strongest force on any atom = 0.0208 Eh/bohr
Wanted:
Could you quote only the last part of the contents further above, starting with the line that has "-0.05 1.55"?
Result:
I: -0.05 1.55 0.93
C: -0.44 -0.22 3.40
C: 0.18 -0.90 4.62
I: -1.34 1.61 4.12
P: 3.44 -2.06 3.02
S: 5.09 -2.98 3.45
C: 6.96 -0.44 1.88
H: 9.96 -1.53 2.51
H: 8.82 -2.23 1.36
H: 8.83 -2.76 3.06
H: 8.78 -0.48 4.73
H: 7.19 1.29 5.29
H: 5.85 2.98 4.53
H: 4.69 4.30 3.16
H: 3.67 3.00 2.48
H: 5.33 3.23 1.94
H: 3.18 2.43 4.70
H: 3.85 0.81 4.73
H: 4.36 2.02 5.92
H: 3.53 0.75 2.65
H: 3.10 1.01 0.94
H: 1.48 0.52 2.84
H: -1.24 -0.83 2.99
H: 0.93 -0.26 5.10
H: -0.58 -1.11 5.36
H: 0.62 -1.86 4.34
H: 2.34 -2.92 2.93
H: 3.10 -1.08 3.97
H: 6.87 -0.90 0.91
C: -3.09 2.29 -1.66
O: -4.05 1.29 -1.38
C: -3.78 0.53 -0.22
C: -5.01 0.32 0.63
O: -5.51 1.48 1.28
C: -6.12 2.50 0.51
C: -7.46 2.15 -0.10
O: -7.34 1.20 -1.15
C: -8.29 0.16 -1.12
H: -2.21 1.88 -2.17
H: -3.56 3.02 -2.31
H: -2.77 2.80 -0.74
H: -2.99 1.00 0.38
H: -3.42 -0.46 -0.53
H: -4.72 -0.34 1.45
H: -5.80 -0.18 0.06
H: -5.44 2.89 -0.25
H: -6.30 3.31 1.22
H: -7.89 3.07 -0.51
H: -8.12 1.77 0.69
H: -8.45 -0.21 -0.10
H: -7.90 -0.65 -1.73
H: -9.25 0.49 -1.54
C: -4.25 -1.88 -8.27
O: -3.29 -2.12 -7.27
C: -2.04 -1.48 -7.49
C: -1.50 -0.84 -6.23
O: -2.21 0.29 -5.77
C: -3.50 0.13 -5.20
C: -3.53 -0.54 -3.85
O: -3.21 -1.93 -3.93
C: -2.33 -2.38 -2.94
H: -4.10 -2.54 -9.14
H: -5.23 -2.09 -7.84
H: -4.24 -0.84 -8.61
H: -2.12 -0.72 -8.27
H: -1.32 -2.24 -7.81
H: -0.50 -0.46 -6.48
H: -1.37 -1.59 -5.44
H: -4.18 -0.35 -5.90
H: -3.86 1.15 -5.05
H: -4.55 -0.45 -3.45
H: -2.85 -0.03 -3.17
H: -1.52 -1.67 -2.76
H: -1.89 -3.32 -3.29
H: -2.85 -2.57 -1.99

Calculated values
LUMO energy = -0.8 eV
orbital gap = 0.296 hartree
E_HOMO = -8.8 eV
strongest force on any atom = 0.0208 Eh/bohr